Minister for Transport and City Services Chris Steel and WCCC’s Bill Gemmell discuss what’s needed on Brierly Street at the launch of the community consultation in July. Photo: Ian Bushnell.
**These records of molecules were left in the text by mistake:**
+++
(one)
Here is a single C3H3NS2 molecule from the Open Molecules 2025 dataset. Energies are from wB97M-V/def2-TZVPD.

## Properties
HOMO level (alpha / beta)   -9.03 / -9.03 eV
Net charge   0

Cartesian coordinates (Å):
S 2.499 0.271 -0.466
S 3.716 1.705 -0.353
N 2.148 -3.229 -0.677
C 2.217 -2.237 -0.026
C 0.951 0.372 0.484
C 3.073 -1.137 0.259
H 0.699 -0.662 0.693
H 0.220 0.978 0.070
H 1.094 0.715 1.470

***

(two)
Here is a single C3H3NS2 molecule from the Open Molecules 2025 dataset. Energies are from wB97M-V/def2-TZVPD.

## Properties
HOMO level (alpha / beta)   -9.29 / -9.29 eV
Net charge   0

Cartesian coordinates (Å):
S 1.883 -0.458 0.226
S 2.116 -2.744 -0.028
N 4.860 1.696 -0.082
C 2.395 1.180 0.135
C 0.094 -0.129 0.060
C 3.742 1.405 0.035
H -0.130 0.710 0.714
H -0.477 -1.006 0.344
H -0.107 0.149 -0.970

***

Which is most stable? The ranking, best first, is (two), (one).

***

(one)
Here is 2 unconnected molecules or ions with the total composition C2H4BrN from the Open Molecules 2025 dataset. Energies are from wB97M-V/def2-TZVPD.

## Properties
HOMO level   -9.16 eV
Net charge   0

Cartesian coordinates (Å):
Br 2.992 -0.223 0.265
N 1.313 0.442 0.465
C -1.091 0.209 0.092
C 0.286 -0.077 0.074
H -1.528 -0.810 0.232
H 0.578 -1.412 -1.041
H -1.364 1.068 0.847
H -1.187 0.803 -0.934

***

(two)
Here is a single C2H4BrN molecule from the Open Molecules 2025 dataset. Energies are from wB97M-V/def2-TZVPD.

## Properties
HOMO level   -9.88 eV
Net charge   0

Cartesian coordinates (Å):
Br -2.652 -2.511 -1.145
N -0.641 -0.514 -1.057
C 0.361 0.158 -0.349
C -1.529 -1.276 -0.366
H 0.173 0.188 0.733
H -1.270 -1.264 0.746
H 1.273 -0.328 -0.329
H 0.435 1.283 -0.753

***

Which is most stable? The ranking, best first, is (two), (one).

~~~~~

# 1
DFT (ωB97M-V/def2-TZVPD) results for a structure of composition C48H43BCuN7P.

```
101
Properties=species:S:1:pos:R:3:forces:R:3
Cu -0.0628 -1.0203 -0.5584 0.212 0.120 0.275
C -1.7783 -2.3557 -5.3779 0.010 -0.004 0.019
C -1.1609 -2.6676 -4.0548 0.001 0.006 -0.012
C -0.7164 -3.8773 -3.5610 0.016 -0.049 -0.021
C -0.2245 -3.6015 -2.2733 0.025 -0.123 0.038
N -0.3731 -2.3098 -2.0216 -0.139 0.092 -0.260
N -0.9438 -1.7334 -3.1097 0.010 0.029 0.077
B -1.2421 -0.2092 -3.1387 -0.031 0.015 0.036
N -2.2427 0.1133 -1.9868 0.066 -0.100 0.075
N -2.1113 -0.5072 -0.7822 0.035 0.233 -0.156
C -3.1388 -0.1310 -0.0264 0.017 -0.056 0.031
C -3.9355 0.7784 -0.7447 -0.100 -0.012 0.030
C -3.3403 0.8961 -1.9847 0.058 0.012 -0.002
C -3.7699 1.7111 -3.1602 0.010 -0.006 0.010
C -3.4109 -0.7454 1.2904 0.026 0.056 -0.073
C -2.6229 -1.7820 1.7895 -0.072 0.022 0.005
C -2.9590 -2.4150 2.9755 0.008 0.004 0.008
C -4.0802 -2.0160 3.6905 -0.011 -0.009 -0.009
C -4.8600 -0.9730 3.2115 -0.007 -0.007 -0.022
C -4.5288 -0.3469 2.0191 -0.034 0.051 0.047
N 0.0933 0.5539 -2.9499 0.095 -0.116 -0.027
N 0.9660 0.1301 -2.0024 -0.411 0.138 0.062
C 2.0340 0.9095 -2.0699 0.195 -0.038 -0.009
C 1.8641 1.8558 -3.0931 0.018 0.067 -0.003
+++
Design work for upgrades to the Weston Creek Group Centre’s main street are about to get underway based on feedback from community consultation.
According to the listening report published on the YourSay website, key desires were for improved amenities along Brierly Street including better seating, wider verges, lighting and more greenery.
Respondents wanted improved pedestrian safety through wider verges, lower speed limits and safer crossing locations, and more opportunities for outdoor dining including paving improvements.
Concerns were also raised about the lack of lighting, particularly at the pedestrian crossing on Brierly Street, and more play areas for children would be welcomed with respondents commenting that the lack of use of Trenerry Square could be partly attributed to the playground being on the opposite side of Cooleman Court.
-- begin --
# 1
This record from OMol25 describes a structure of composition H10O5 in a non-equilibrium geometry. The level of theory is wB97M-V/def2-TZVPD.

```
! wB97M-V def2-TZVPD RIJCOSX def2/J DEFGRID3
* xyz 0 1
O 1.9824 -0.6741 -0.7747
H 2.8346 -0.3579 -0.4747
H 1.8765 -1.5229 -0.3449
O 1.1357 0.0162 1.6311
H 0.4999 0.4196 2.2221
H 0.6325 -0.1939 0.8444
O -2.3331 0.0705 -0.9829
H -1.6191 0.4874 -1.4654
H -3.0329 -0.0291 -1.6283
O 0.1837 0.4681 -0.5794
H 0.9648 -0.0852 -0.5715
H 0.4604 1.2673 -1.0277
O -1.1068 -0.0596 1.4165
H -1.6110 -0.5556 0.7716
H -0.8677 0.7492 0.9638
*
```

HOMO-LUMO gap   10.00 eV
Energy above the lowest of the compared OMol25 structures with the same formula, charge and spin   344.63 kJ/mol


# 2
This record from OMol25 describes a cluster of 5 separate species, H10O5 in total in a non-equilibrium geometry. The level of theory is wB97M-V/def2-TZVPD.

```
! wB97M-V def2-TZVPD RIJCOSX def2/J DEFGRID3
* xyz 0 1
O -0.2711 -0.5608 1.4308
H -1.1782 -0.8614 1.6767
H 0.3175 -1.0205 1.9852
O 3.3114 -1.4993 -0.7086
H 3.8036 -1.5321 0.1439
H 2.4554 -1.6359 -0.5217
O 2.4900 2.0688 0.1170
H 2.9064 2.5417 -0.5537
H 3.1168 1.4814 0.5753
O 0.0099 0.0883 -0.5605
H 0.7247 -0.1698 -1.1848
H -0.5528 -0.6375 -0.4663
O -5.6687 0.0216 -0.3321
H -5.8320 0.5702 -1.1052
H -4.7343 0.3152 -0.1222
*
```

HOMO-LUMO gap   10.23 eV
SMILES string   O.O.O.O.O
Energy above the lowest of the compared OMol25 structures with the same formula, charge and spin   281.84 kJ/mol


# 3
This record from OMol25 describes a cluster of 5 separate species, H10S5 in total. The level of theory is wB97M-V/def2-TZVPD.

```
! wB97M-V def2-TZVPD RIJCOSX def2/J DEFGRID3
* xyz 0 1
S -0.3388 4.1906 -2.3003
H -0.4919 2.8944 -1.9985
H -0.2985 3.9262 -3.6136
S 3.0125 2.5866 -0.7327
H 3.2251 3.2170 0.4159
H 3.5095 3.5405 -1.5218
S 3.2962 -2.2848 1.6011
H 3.5086 -2.1785 0.2838
H 2.1674 -1.5716 1.6686
S -4.2018 -5.0543 1.7142
H -5.3857 -4.8920 2.3072
H -3.4371 -5.1146 2.8102
S -1.4970 0.4053 -0.8023
H -1.0506 -0.6519 -0.1177
H -2.0178 0.9871 0.2857
*
```

HOMO-LUMO gap   9.69 eV
SMILES string   S.S.S.S.S
Energy above the lowest of the compared OMol25 structures with the same formula, charge and spin   14.24 kJ/mol


# 4
This record from OMol25 describes a cluster of 5 separate species, H10S5 in total. The level of theory is wB97M-V/def2-TZVPD.

```
! wB97M-V def2-TZVPD RIJCOSX def2/J DEFGRID3
* xyz 0 1
S -0.4064 4.5568 -2.7898
H -0.3368 3.2915 -3.2179
H 0.3152 5.0074 -3.8142
S 2.7937 2.7354 -0.8123
H 2.5268 1.5001 -0.3725
H 1.6577 3.2458 -0.3408
S 2.9626 -2.3963 2.2903
H 4.0320 -2.4701 3.0882
H 3.6473 -2.4957 1.1482
S -4.7937 -5.0901 2.6583
H -5.0600 -4.6920 1.4189
H -3.7044 -4.3327 2.8071
S -0.6280 0.4537 -0.5115
H -1.2274 0.3823 -1.7067
H -1.7785 0.3038 0.1546
*
```

HOMO-LUMO gap   9.79 eV
SMILES string   S.S.S.S.S
Energy above the lowest of the compared OMol25 structures with the same formula, charge and spin   6.89 kJ/mol


# 5
-- stop --
Weston Creek Community Council chair Bill Gemmell said when the consultation was launched in July, the street had too many conflict points – particularly near McDonald’s, and this had caused a number of near misses and collisions. He said it needed to be calmed down, including having more pedestrian crossings.
READ ALSO: Weston’s Fowles Street park rejuvenated thanks to tireless community volunteers
(Next to the article, the page also holds quantum chemistry results)
# 1
Below is the molecule C4H7NO, with properties calculated with ωB97M-V/def2-TZVPD.

Geometry (Å):
C 1.34631 -0.73606 0.87914
C 0.50954 -1.03862 -0.42508
C -0.30075 0.20480 -0.87182
C -1.08300 0.72092 0.34021
N 0.88691 0.10788 1.63385
O -1.36905 1.93318 0.61685
H 2.27000 -1.37313 0.86137
H 1.09165 -1.52923 -1.21626
H -0.12997 -1.82695 0.07353
H 0.42232 0.92174 -1.14214
H -1.05342 0.08425 -1.67999
H -1.79282 -0.09991 0.68731
H -0.79770 2.63114 0.24303

Calculated values
Highest occupied orbital energy (spin up / spin down)   -7.56 / -6.96 eV
Relative energy (zero: lowest compared OMol25 entry of this formula, charge and spin)   426.3 kJ/mol
Lowest unoccupied orbital energy (spin up / spin down)   0.0228 / 0.0220 Ha
HOMO-LUMO gap (spin up / spin down)   8.18 / 7.56 eV



# 2
Below is a structure of composition C26H19ClIN3OPPt, with properties calculated with ωB97M-V/def2-TZVPD.

Geometry (Å):
Pt 1.05387 -0.44642 -0.43749
Cl 4.76050 5.31811 -0.35562
C 4.23649 3.67952 -0.54655
C 5.10442 2.73668 -1.01926
C 4.70813 1.39585 -1.18335
I 6.05167 -0.00913 -1.90386
C 3.42844 0.98849 -0.87398
O 2.99244 -0.24949 -1.00517
C 2.53455 1.97778 -0.38387
N 1.26755 1.53882 -0.08143
C 0.38063 2.39388 0.38870
C 0.68062 3.74535 0.58610
C 1.93285 4.21025 0.28930
C 2.90885 3.32404 -0.20894
H 6.11519 3.02735 -1.27025
H -0.60023 2.00403 0.62338
H -0.08410 4.40207 0.97433
H 2.18729 5.25076 0.43713
N -1.09626 -2.51782 -0.03593
P -1.03916 -0.83329 0.16628
C -1.49096 -0.54597 1.88481
C -2.32393 0.50904 2.25439
C -2.56196 0.76637 3.59673
C -1.97315 -0.02627 4.57081
C -1.13926 -1.07629 4.20732
C -0.89138 -1.33191 2.86973
C -2.36157 -0.13404 -0.83076
C -3.70210 -0.38825 -0.53293
C -4.69826 0.10815 -1.35543
C -4.36340 0.86602 -2.47186
C -3.03422 1.12481 -2.77028
C -2.03122 0.62175 -1.95454
C -0.02209 -3.18060 -0.58592
C -0.04400 -4.54779 -0.85114
C 1.07644 -5.13444 -1.39446
C 2.20228 -4.35952 -1.66716
C 2.16113 -3.01887 -1.38227
N 1.06588 -2.43626 -0.84965
H -1.92499 -3.05795 0.16095
H -2.80047 1.12335 1.50013
H -3.21330 1.58210 3.88022
H -2.16389 0.17351 5.61673
H -0.67849 -1.69260 4.96738
H -0.22942 -2.14309 2.59018
H -3.96910 -0.96284 0.34720
H -5.73618 -0.09003 -1.12443
H -5.14474 1.25551 -3.11079
H -2.77704 1.71243 -3.64118
H -0.99012 0.80851 -2.18958
H -0.93272 -5.12221 -0.63039
H 1.07691 -6.19492 -1.60762
H 3.09595 -4.78941 -2.09300
H 2.99560 -2.35508 -1.56269

Calculated values
Highest occupied orbital energy   -10.30 eV
Relative energy (zero: lowest compared OMol25 entry of this formula, charge and spin)   0.0 kJ/mol
Lowest unoccupied orbital energy   -0.1156 Ha
Charge   +1
HOMO-LUMO gap   7.16 eV



# 3
Below is the molecule C2H4OS2, with properties calculated with ωB97M-V/def2-TZVPD.

Geometry (Å):
C 0.66034 -0.72254 0.72527
C -0.60541 0.01552 0.21318
H 1.26207 -0.06121 -1.58010
H 0.31530 -1.82440 0.36356
H 0.63576 -0.38548 1.92337
H 0.60928 1.38915 0.42422
O -0.28666 1.37675 0.21254
S 2.17587 -0.09937 -0.28488
S -2.22953 -0.26875 -0.24400

Calculated values
Minister for Transport and City Services Chris Steel said Brierly Street was now a step closer to significant upgrades with more than 350 people sharing their views.
“We know locals think of Brierly Street as Weston Creek’s main street, so we’re looking at ways we can make the area more inviting, enjoyable for pedestrians and better for local businesses,” he said.
“We know how important involving the community is when planning improvements to the local facilities people regularly visit. We will be considering this important feedback, along with the early input we received on the Weston Creek Group Centre Masterplan, for future upgrade ideas at Brierly Street.”
Weston is one of 11 local shopping and group centres the ACT Government has committed to upgrading over the next three years.
This investment is part of a larger $28.8 million program of new and upgraded suburban infrastructure across Canberra including:
- Two new dog parks in Franklin and Lanyon Valley.
- New toilet facilities at the Florey local shops and the Farrer nature play space.
- Upgrades to six play spaces in Kaleen, Ngunnawal, Chisholm, Gordon, Lyons and Aranda.
- Substantial public realm improvements at the Tuggeranong Foreshore, including a new playground.
The ACT Government has also recently released final designs for upgrades at the local shops of Campbell, Duffy and Kaleen’s Gwydir Square, with construction expected to begin in early 2022.
“It’s been a challenging two years for our community and many local businesses across Canberra. That’s why we’re moving ahead with as many local projects as possible, to support jobs and help bring more vibrancy to our community spaces as we recover from the ongoing impacts of the COVID-19 pandemic,” Mr Steel said.
For more information on this project and to read the What We Heard report, visit the YourSay website.